-- Input --
/*
Entry from OMol25: a cluster of 20 separate species, H40O20 in total at a distorted geometry (ωB97M-V/def2-TZVPD).

Geometry (Å):
1 O 1.63766 0.94713 5.17348
2 H 0.69189 0.93267 5.29528
3 H 1.95251 0.48853 4.41305
4 O 3.50887 3.94533 1.84770
5 H 2.57069 3.93035 2.03295
6 H 3.62482 4.31845 0.97347
7 O 1.73066 5.18191 0.02038
8 H 0.98853 5.52415 0.52464
9 H 1.36176 4.51998 -0.58112
10 O -3.90799 3.80615 -1.51347
11 H -3.66962 3.37970 -0.69151
12 H -3.07949 3.74837 -1.98917
13 O 0.94707 -1.67094 2.21195
14 H 1.89765 -1.65459 2.12024
15 H 0.59001 -1.55581 1.32339
16 O -0.38389 2.53769 -0.99328
17 H -0.36182 1.68793 -0.55219
18 H 0.05443 2.45047 -1.84677
19 O 0.92301 -2.61854 -1.07157
20 H 1.30702 -3.49392 -1.18671
21 H -0.03065 -2.70985 -1.12464
22 O -2.68781 4.14297 1.02441
23 H -1.84711 4.04617 1.45469
24 H -3.34158 3.48850 1.28424
25 O 2.71276 0.03451 2.66158
26 H 3.54112 -0.41320 2.46013
27 H 2.48223 0.52772 1.87491
28 O 3.65165 -1.04473 -3.55705
29 H 4.49932 -1.45646 -3.36283
30 H 3.16988 -1.68406 -4.09302
31 O -0.04316 -4.09255 2.43386
32 H -0.56571 -3.34712 2.74510
33 H 0.42225 -4.34363 3.23985
34 O -1.50895 -0.42586 3.22097
35 H -0.70602 -0.72891 2.75804
36 H -1.55436 -1.21602 3.77090
37 O 0.10851 -1.70521 -3.42942
38 H 0.06207 -2.57101 -3.85678
39 H 1.02150 -1.44551 -3.57911
40 O -4.31036 -0.15754 -2.15914
41 H -3.75620 -0.08392 -2.94412
42 H -3.70926 -0.38723 -1.45701
43 O -1.77946 -3.62356 -3.36097
44 H -1.67523 -2.85657 -2.77081
45 H -1.69708 -4.26867 -2.63710
46 O -0.17350 -5.48471 0.20379
47 H -0.59814 -4.65227 0.25761
48 H 0.36732 -5.99949 0.77751
49 O 3.83841 -2.07559 0.25713
50 H 4.57885 -2.48804 -0.21826
51 H 3.43502 -1.78006 -0.58131
52 O -2.01615 -0.87550 -0.07811
53 H -2.87235 -0.43032 -0.02829
54 H -1.63376 -0.61625 0.76146
55 O -4.93411 1.43472 0.68937
56 H -5.20047 2.26063 0.25783
57 H -5.74548 1.24577 1.16950
58 O 1.74611 3.18019 -2.91911
59 H 1.67349 2.84886 -3.82293
60 H 2.69265 3.34880 -2.83361

Calculated values
Gap between HOMO and LUMO: 10.18 eV
Net charge: 0
E: -41597.47442 eV
Energy above the lowest of the compared OMol25 structures with the same formula, charge and spin: 128.0 kcal/mol
Maximum force: 0.0832 hartree/bohr
Molar mass: 360.30 Da

Mulliken population analysis, charges in e, atoms 1 to 5: -0.63 0.31 0.37 -0.61 0.31


Entry from OMol25: a cluster of 20 separate species, H40O20 in total at a distorted geometry (ωB97M-V/def2-TZVPD).

Geometry (Å):
1 O 1.61598 1.37999 3.86355
2 H 2.31532 0.88157 3.41668
3 H 1.80085 2.23438 3.70107
4 O 1.44624 0.67399 -6.04534
5 H 2.05785 0.03309 -5.60917
6 H 1.10981 1.12705 -5.20866
7 O 1.23305 3.07333 -2.96239
8 H 0.35526 3.12987 -2.34799
9 H 1.40509 4.00345 -2.93393
10 O -2.11098 2.99193 -2.21038
11 H -2.19874 2.98129 -3.15838
12 H -3.01221 2.66551 -1.96960
13 O 1.12957 4.88737 3.29760
14 H 1.13533 3.97977 3.84127
15 H 0.18740 5.08491 3.41534
16 O -0.68485 -2.19079 -0.70155
17 H -1.43335 -2.48390 -0.25165
18 H -0.62417 -1.29728 -0.68949
19 O 0.38441 -0.75854 1.36450
20 H -0.32304 -0.35920 1.99894
21 H -0.28570 -1.33259 1.12120
22 O -1.34633 0.60431 -0.73554
23 H -1.31781 1.58245 -0.84000
24 H -1.54681 0.34407 -1.62029
25 O 2.10800 1.39047 1.24949
26 H 1.51536 1.86535 0.73093
27 H 1.93480 0.44038 1.18538
28 O 3.31285 -2.78833 0.15947
29 H 2.82669 -2.16036 -0.32438
30 H 3.53086 -3.41542 -0.56640
31 O 3.75889 -0.94348 3.27252
32 H 3.62039 -1.84844 3.03398
33 H 4.22590 -0.63511 2.51536
34 O -2.83299 3.35624 4.00626
35 H -3.26891 2.57642 4.15621
36 H -1.97703 3.21360 4.06617
37 O 0.41177 -2.19447 -3.38736
38 H -0.31512 -2.81302 -2.82019
39 H 1.03081 -2.09304 -2.67291
40 O -1.62005 -4.58656 -1.64942
41 H -2.51006 -4.59309 -1.19343
42 H -1.92834 -5.25691 -2.16356
43 O 0.91179 -3.33428 2.40544
44 H 1.43356 -3.42029 1.65505
45 H 0.00981 -3.65818 2.13446
46 O -1.22753 1.19035 4.18598
47 H -0.94008 0.20786 4.01486
48 H -0.60229 1.31240 4.87883
49 O 4.34932 -0.58107 -3.27086
50 H 3.52573 -0.78586 -3.54782
51 H 4.77344 -1.36160 -3.01074
52 O -3.70976 -1.79480 1.70082
*/

-- Request --
Transcribe the listing further above without altering anything.

-- Result --
Entry from OMol25: a cluster of 20 separate species, H40O20 in total at a distorted geometry (ωB97M-V/def2-TZVPD).

Geometry (Å):
1 O 1.63766 0.94713 5.17348
2 H 0.69189 0.93267 5.29528
3 H 1.95251 0.48853 4.41305
4 O 3.50887 3.94533 1.84770
5 H 2.57069 3.93035 2.03295
6 H 3.62482 4.31845 0.97347
7 O 1.73066 5.18191 0.02038
8 H 0.98853 5.52415 0.52464
9 H 1.36176 4.51998 -0.58112
10 O -3.90799 3.80615 -1.51347
11 H -3.66962 3.37970 -0.69151
12 H -3.07949 3.74837 -1.98917
13 O 0.94707 -1.67094 2.21195
14 H 1.89765 -1.65459 2.12024
15 H 0.59001 -1.55581 1.32339
16 O -0.38389 2.53769 -0.99328
17 H -0.36182 1.68793 -0.55219
18 H 0.05443 2.45047 -1.84677
19 O 0.92301 -2.61854 -1.07157
20 H 1.30702 -3.49392 -1.18671
21 H -0.03065 -2.70985 -1.12464
22 O -2.68781 4.14297 1.02441
23 H -1.84711 4.04617 1.45469
24 H -3.34158 3.48850 1.28424
25 O 2.71276 0.03451 2.66158
26 H 3.54112 -0.41320 2.46013
27 H 2.48223 0.52772 1.87491
28 O 3.65165 -1.04473 -3.55705
29 H 4.49932 -1.45646 -3.36283
30 H 3.16988 -1.68406 -4.09302
31 O -0.04316 -4.09255 2.43386
32 H -0.56571 -3.34712 2.74510
33 H 0.42225 -4.34363 3.23985
34 O -1.50895 -0.42586 3.22097
35 H -0.70602 -0.72891 2.75804
36 H -1.55436 -1.21602 3.77090
37 O 0.10851 -1.70521 -3.42942
38 H 0.06207 -2.57101 -3.85678
39 H 1.02150 -1.44551 -3.57911
40 O -4.31036 -0.15754 -2.15914
41 H -3.75620 -0.08392 -2.94412
42 H -3.70926 -0.38723 -1.45701
43 O -1.77946 -3.62356 -3.36097
44 H -1.67523 -2.85657 -2.77081
45 H -1.69708 -4.26867 -2.63710
46 O -0.17350 -5.48471 0.20379
47 H -0.59814 -4.65227 0.25761
48 H 0.36732 -5.99949 0.77751
49 O 3.83841 -2.07559 0.25713
50 H 4.57885 -2.48804 -0.21826
51 H 3.43502 -1.78006 -0.58131
52 O -2.01615 -0.87550 -0.07811
53 H -2.87235 -0.43032 -0.02829
54 H -1.63376 -0.61625 0.76146
55 O -4.93411 1.43472 0.68937
56 H -5.20047 2.26063 0.25783
57 H -5.74548 1.24577 1.16950
58 O 1.74611 3.18019 -2.91911
59 H 1.67349 2.84886 -3.82293
60 H 2.69265 3.34880 -2.83361

Calculated values
Gap between HOMO and LUMO: 10.18 eV
Net charge: 0
E: -41597.47442 eV
Energy above the lowest of the compared OMol25 structures with the same formula, charge and spin: 128.0 kcal/mol
Maximum force: 0.0832 hartree/bohr
Molar mass: 360.30 Da

Mulliken population analysis, charges in e, atoms 1 to 5: -0.63 0.31 0.37 -0.61 0.31


Entry from OMol25: a cluster of 20 separate species, H40O20 in total at a distorted geometry (ωB97M-V/def2-TZVPD).

Geometry (Å):
1 O 1.61598 1.37999 3.86355
2 H 2.31532 0.88157 3.41668
3 H 1.80085 2.23438 3.70107
4 O 1.44624 0.67399 -6.04534
5 H 2.05785 0.03309 -5.60917
6 H 1.10981 1.12705 -5.20866
7 O 1.23305 3.07333 -2.96239
8 H 0.35526 3.12987 -2.34799
9 H 1.40509 4.00345 -2.93393
10 O -2.11098 2.99193 -2.21038
11 H -2.19874 2.98129 -3.15838
12 H -3.01221 2.66551 -1.96960
13 O 1.12957 4.88737 3.29760
14 H 1.13533 3.97977 3.84127
15 H 0.18740 5.08491 3.41534
16 O -0.68485 -2.19079 -0.70155
17 H -1.43335 -2.48390 -0.25165
18 H -0.62417 -1.29728 -0.68949
19 O 0.38441 -0.75854 1.36450
20 H -0.32304 -0.35920 1.99894
21 H -0.28570 -1.33259 1.12120
22 O -1.34633 0.60431 -0.73554
23 H -1.31781 1.58245 -0.84000
24 H -1.54681 0.34407 -1.62029
25 O 2.10800 1.39047 1.24949
26 H 1.51536 1.86535 0.73093
27 H 1.93480 0.44038 1.18538
28 O 3.31285 -2.78833 0.15947
29 H 2.82669 -2.16036 -0.32438
30 H 3.53086 -3.41542 -0.56640
31 O 3.75889 -0.94348 3.27252
32 H 3.62039 -1.84844 3.03398
33 H 4.22590 -0.63511 2.51536
34 O -2.83299 3.35624 4.00626
35 H -3.26891 2.57642 4.15621
36 H -1.97703 3.21360 4.06617
37 O 0.41177 -2.19447 -3.38736
38 H -0.31512 -2.81302 -2.82019
39 H 1.03081 -2.09304 -2.67291
40 O -1.62005 -4.58656 -1.64942
41 H -2.51006 -4.59309 -1.19343
42 H -1.92834 -5.25691 -2.16356
43 O 0.91179 -3.33428 2.40544
44 H 1.43356 -3.42029 1.65505
45 H 0.00981 -3.65818 2.13446
46 O -1.22753 1.19035 4.18598
47 H -0.94008 0.20786 4.01486
48 H -0.60229 1.31240 4.87883
49 O 4.34932 -0.58107 -3.27086
50 H 3.52573 -0.78586 -3.54782
51 H 4.77344 -1.36160 -3.01074
52 O -3.70976 -1.79480 1.70082